== Data ==
=====
# Ba2GePt3O12 GGA-PBE relaxed
data_Ba2GePt3O12
_chemical_formula_sum 'Ba6 Ge3 Pt9 O36'
_cell_length_a 7.1256
_cell_length_b 7.1256
_cell_length_c 17.2951
_cell_angle_alpha 90.00
_cell_angle_beta 90.00
_cell_angle_gamma 120.00
_symmetry_space_group_name_H-M 'R -3 m'
_symmetry_Int_Tables_number 166
_symmetry_space_group_name_Hall '-R 3 2"'
loop_
_atom_site_label
_atom_site_fract_x
_atom_site_fract_y
_atom_site_fract_z
Ba1 0.0000 0.0000 0.1459
Ge1 0.0000 0.0000 0.5000
Pt1 0.0000 0.5000 0.0000
O1 0.0645 0.5323 0.3691
O2 0.0689 0.5345 0.1121
# **Fermi-level density of states**: 0.6363 states/eV/atom
# **Raw formation energy**: -1.137 eV/atom
# **Final energy**: -5.92 eV/atom
# **Total magnetization**: 0.00 μB/atom

# LaMoRu2 GGA-PBE relaxed
data_LaMoRu2
_chemical_formula_sum 'La2 Mo2 Ru4'
_cell_length_a 9.8561
_cell_length_b 3.0982
_cell_length_c 5.1116
_cell_angle_alpha 90.00
_cell_angle_beta 104.60
_cell_angle_gamma 90.00
_symmetry_space_group_name_H-M 'C 1 m 1'
_symmetry_Int_Tables_number 8
loop_
_symmetry_equiv_pos_as_xyz
'x,y,z'
'x,-y,z'
'x+1/2,y+1/2,z'
'x+1/2,-y+1/2,z'
loop_
_atom_site_label
_atom_site_fract_x
_atom_site_fract_y
_atom_site_fract_z
La1 0.0000 0.0000 0.0000
Mo1 0.2151 0.0000 0.6751
Ru1 0.0018 0.5000 0.4899
Ru2 0.2716 0.5000 0.3144
# **Fermi-level density of states**: 1.1600 states/eV/atom
# **Relative energy among the computed polymorphs**: 268 meV/atom
# **Final energy**: -8.26 eV/atom
# **Total magnetization**: 0.00 μB/atom

# SrLa3Ru GGA-PBE relaxed
data_SrLa3Ru
_chemical_formula_sum 'Sr4 La12 Ru4'
_cell_length_a 10.0719
_cell_length_b 7.2537
_cell_length_c 11.1833
_cell_angle_alpha 90.00
_cell_angle_beta 118.15
_cell_angle_gamma 90.00
_symmetry_space_group_name_H-M 'P 1 21/c 1'
_symmetry_Int_Tables_number 14
loop_
_symmetry_equiv_pos_as_xyz
'x,y,z'
'-x,-y,-z'
'-x,y+1/2,-z+1/2'
'x,-y+1/2,z+1/2'
loop_
_atom_site_label
_atom_site_fract_x
_atom_site_fract_y
_atom_site_fract_z
Sr1 0.1657 0.1271 0.1300
La1 0.1375 0.6291 0.2400
La2 0.3241 0.0081 0.5089
La3 0.4887 0.5907 0.6262
Ru1 0.3848 0.6979 0.8318
# **Fermi-level density of states**: 1.1549 states/eV/atom
# **Relative energy among the computed polymorphs**: 121 meV/atom
# **Final energy**: -5.21 eV/atom
# **Total magnetization**: 0.00 μB/atom

# Dy8AgOs2 GGA-PBE relaxed
data_Dy8AgOs2
_chemical_formula_sum 'Dy16 Ag2 Os4'
_cell_length_a 8.6887
_cell_length_b 12.7407
_cell_length_c 5.6068
_cell_angle_alpha 90.00
_cell_angle_beta 104.63
_cell_angle_gamma 90.00
_symmetry_space_group_name_H-M 'C 1 m 1'
_symmetry_Int_Tables_number 8
loop_
_symmetry_equiv_pos_as_xyz
'x,y,z'
'x,-y,z'
'x+1/2,y+1/2,z'
'x+1/2,-y+1/2,z'
loop_
_atom_site_label
_atom_site_fract_x
_atom_site_fract_y
_atom_site_fract_z
Dy1 0.0000 0.0000 0.0000
Dy2 0.0776 0.3678 0.7907
Dy3 0.1797 0.1323 0.6088
Dy4 0.2582 0.5000 0.4002
Dy5 0.3785 0.2409 0.1998
Ag1 0.3792 0.0000 0.2015
Os1 0.3787 0.3125 0.7001
# **Fermi-level density of states**: 0.9436 states/eV/atom
# **Final energy**: -5.80 eV/atom
# **Total magnetization**: 0.00 μB/atom

# La3WN4 GGA-PBE relaxed
data_La3WN4
_chemical_formula_sum 'La6 W2 N8'
_cell_length_a 7.8463
_cell_length_b 7.0730
_cell_length_c 5.5353
_cell_angle_alpha 90.00
_cell_angle_beta 90.00
_cell_angle_gamma 90.00
_symmetry_space_group_name_H-M 'P m n 21'
_symmetry_Int_Tables_number 31
loop_
_symmetry_equiv_pos_as_xyz
'x,y,z'
'-x+1/2,-y,z+1/2'
'-x,y,z'
'x+1/2,-y,z+1/2'
loop_
_atom_site_label
_atom_site_fract_x
_atom_site_fract_y
_atom_site_fract_z
La1 0.0000 0.1512 0.0000
La2 0.2467 0.3438 0.5057
W1 0.0000 0.8267 0.4510
N1 0.0000 0.0961 0.5079
N2 0.0000 0.8265 0.1080
N3 0.2149 0.6984 0.5005
# **Fermi-level density of states**: 0.5731 states/eV/atom
# **Raw formation energy**: -1.051 eV/atom
# **Final energy**: -8.68 eV/atom
# **Total magnetization**: 0.15 μB/atom

# Tl3AsI6 GGA-PBE relaxed
data_Tl3AsI6
_chemical_formula_sum 'Tl6 As2 I12'
_cell_length_a 8.0530
_cell_length_b 8.9459
_cell_length_c 13.9149
_cell_angle_alpha 90.00
_cell_angle_beta 122.03
_cell_angle_gamma 90.00
=====
== Work order ==
The reader should transcribe the whole of the entries above without additions.
== Reply ==
# Ba2GePt3O12 GGA-PBE relaxed
data_Ba2GePt3O12
_chemical_formula_sum 'Ba6 Ge3 Pt9 O36'
_cell_length_a 7.1256
_cell_length_b 7.1256
_cell_length_c 17.2951
_cell_angle_alpha 90.00
_cell_angle_beta 90.00
_cell_angle_gamma 120.00
_symmetry_space_group_name_H-M 'R -3 m'
_symmetry_Int_Tables_number 166
_symmetry_space_group_name_Hall '-R 3 2"'
loop_
_atom_site_label
_atom_site_fract_x
_atom_site_fract_y
_atom_site_fract_z
Ba1 0.0000 0.0000 0.1459
Ge1 0.0000 0.0000 0.5000
Pt1 0.0000 0.5000 0.0000
O1 0.0645 0.5323 0.3691
O2 0.0689 0.5345 0.1121
# **Fermi-level density of states**: 0.6363 states/eV/atom
# **Raw formation energy**: -1.137 eV/atom
# **Final energy**: -5.92 eV/atom
# **Total magnetization**: 0.00 μB/atom

# LaMoRu2 GGA-PBE relaxed
data_LaMoRu2
_chemical_formula_sum 'La2 Mo2 Ru4'
_cell_length_a 9.8561
_cell_length_b 3.0982
_cell_length_c 5.1116
_cell_angle_alpha 90.00
_cell_angle_beta 104.60
_cell_angle_gamma 90.00
_symmetry_space_group_name_H-M 'C 1 m 1'
_symmetry_Int_Tables_number 8
loop_
_symmetry_equiv_pos_as_xyz
'x,y,z'
'x,-y,z'
'x+1/2,y+1/2,z'
'x+1/2,-y+1/2,z'
loop_
_atom_site_label
_atom_site_fract_x
_atom_site_fract_y
_atom_site_fract_z
La1 0.0000 0.0000 0.0000
Mo1 0.2151 0.0000 0.6751
Ru1 0.0018 0.5000 0.4899
Ru2 0.2716 0.5000 0.3144
# **Fermi-level density of states**: 1.1600 states/eV/atom
# **Relative energy among the computed polymorphs**: 268 meV/atom
# **Final energy**: -8.26 eV/atom
# **Total magnetization**: 0.00 μB/atom

# SrLa3Ru GGA-PBE relaxed
data_SrLa3Ru
_chemical_formula_sum 'Sr4 La12 Ru4'
_cell_length_a 10.0719
_cell_length_b 7.2537
_cell_length_c 11.1833
_cell_angle_alpha 90.00
_cell_angle_beta 118.15
_cell_angle_gamma 90.00
_symmetry_space_group_name_H-M 'P 1 21/c 1'
_symmetry_Int_Tables_number 14
loop_
_symmetry_equiv_pos_as_xyz
'x,y,z'
'-x,-y,-z'
'-x,y+1/2,-z+1/2'
'x,-y+1/2,z+1/2'
loop_
_atom_site_label
_atom_site_fract_x
_atom_site_fract_y
_atom_site_fract_z
Sr1 0.1657 0.1271 0.1300
La1 0.1375 0.6291 0.2400
La2 0.3241 0.0081 0.5089
La3 0.4887 0.5907 0.6262
Ru1 0.3848 0.6979 0.8318
# **Fermi-level density of states**: 1.1549 states/eV/atom
# **Relative energy among the computed polymorphs**: 121 meV/atom
# **Final energy**: -5.21 eV/atom
# **Total magnetization**: 0.00 μB/atom

# Dy8AgOs2 GGA-PBE relaxed
data_Dy8AgOs2
_chemical_formula_sum 'Dy16 Ag2 Os4'
_cell_length_a 8.6887
_cell_length_b 12.7407
_cell_length_c 5.6068
_cell_angle_alpha 90.00
_cell_angle_beta 104.63
_cell_angle_gamma 90.00
_symmetry_space_group_name_H-M 'C 1 m 1'
_symmetry_Int_Tables_number 8
loop_
_symmetry_equiv_pos_as_xyz
'x,y,z'
'x,-y,z'
'x+1/2,y+1/2,z'
'x+1/2,-y+1/2,z'
loop_
_atom_site_label
_atom_site_fract_x
_atom_site_fract_y
_atom_site_fract_z
Dy1 0.0000 0.0000 0.0000
Dy2 0.0776 0.3678 0.7907
Dy3 0.1797 0.1323 0.6088
Dy4 0.2582 0.5000 0.4002
Dy5 0.3785 0.2409 0.1998
Ag1 0.3792 0.0000 0.2015
Os1 0.3787 0.3125 0.7001
# **Fermi-level density of states**: 0.9436 states/eV/atom
# **Final energy**: -5.80 eV/atom
# **Total magnetization**: 0.00 μB/atom

# La3WN4 GGA-PBE relaxed
data_La3WN4
_chemical_formula_sum 'La6 W2 N8'
_cell_length_a 7.8463
_cell_length_b 7.0730
_cell_length_c 5.5353
_cell_angle_alpha 90.00
_cell_angle_beta 90.00
_cell_angle_gamma 90.00
_symmetry_space_group_name_H-M 'P m n 21'
_symmetry_Int_Tables_number 31
loop_
_symmetry_equiv_pos_as_xyz
'x,y,z'
'-x+1/2,-y,z+1/2'
'-x,y,z'
'x+1/2,-y,z+1/2'
loop_
_atom_site_label
_atom_site_fract_x
_atom_site_fract_y
_atom_site_fract_z
La1 0.0000 0.1512 0.0000
La2 0.2467 0.3438 0.5057
W1 0.0000 0.8267 0.4510
N1 0.0000 0.0961 0.5079
N2 0.0000 0.8265 0.1080
N3 0.2149 0.6984 0.5005
# **Fermi-level density of states**: 0.5731 states/eV/atom
# **Raw formation energy**: -1.051 eV/atom
# **Final energy**: -8.68 eV/atom
# **Total magnetization**: 0.15 μB/atom

# Tl3AsI6 GGA-PBE relaxed
data_Tl3AsI6
_chemical_formula_sum 'Tl6 As2 I12'
_cell_length_a 8.0530
_cell_length_b 8.9459
_cell_length_c 13.9149
_cell_angle_alpha 90.00
_cell_angle_beta 122.03
_cell_angle_gamma 90.00